Most Bizarre Tales Of Haunted Objects

It's pretty audacious to assume we know everything about the world we live in, and it's exactly that kind of hubris that gets us in trouble. While it's certainly necessary to read any ghost story with a healthy dose of skepticism, it's worth pointing out that no one's ever proven ghosts don't exist. There's no real evidence that says the supernatural doesn't attach itself to inanimate objects. So settle in, turn down the lights, and don't say we didn't warn you.


The Dybbuk box

Check out the Jewish Virtual Library and you'll find that Jewish folklore is full of stories of a dark spirit that takes over the bodies of living people and uses them for evil. When these dybbuks are exorcised, they usually head straight to hell without passing Go and without collecting $200, but one popped up on eBay.


The seller listed a vintage wine cabinet that supposedly came from the estate of a woman who survived a World War II concentration camp. The eBay seller had purchased it from the estate and claimed that the first owner's granddaughter was terrified of the box, warning him that her grandmother said it held a dybbuk. After buying the cabinet, he was plagued by a series of unfortunate events, including recurring nightmares of a horrible hag and strange smells. Worst of all, his mother suffered a stroke while sitting in a room with the box. It's not surprising that he decided to get rid of it.

When Missouri museum director Jason Haxton bought it, he turned the story into a book. According to Skeptoid, the box may have had the last laugh: when the story was turned into a 2012 movie called The Possession, writing credit went not to Haxton but to a freelance journalist named Leslie Gornstein who'd simply profiled the box in a newspaper article. It's a vengeful spirit that hits a writer where it hurts.


'The Hands Resist Him'

If you plan to paint a creepy painting, a good name is crucial. "The Hands Resist Him" is an epic name for a haunted panting, and whether or not you believe the stories that go along with it, you can't deny it's a seriously disturbing piece of work on its own. It was painted in 1972 by Bill Stoneham, and according to The Daily Dot, three men associated with the painting — including onetime painting owner and Godfather actor John Marley — all died. Before you get too creeped out, though, realize that Marley was 74 when he passed. The other two were also in their 60s and 70s. People die; that's normal, right?


Anyway, the painting disappeared from public view after Marley's death, and it only reappeared in 2000 when it was listed on eBay along with a story from the painting's new owners. Their kids claimed that the boy and the doll in the painting were fighting, so Dad set up a camera to show them they were just imagining things. The camera actually caught the boy crawling out of the painting. Rather than killing it with fire like a rational person, he put it up on eBay with the disclaimer. 

People started saying that they felt sick just looking at the listing, while others heard voices and experienced other kinds of supernatural phenomenon. It was purchased by a gallery in Grand Rapids, Michigan, and sits in storage now. That probably makes it even more determined to get out.


Dorset's screaming skull

If you say that skulls are more cool than creepy, you're a dirty, rotten liar who's never seen a real one. Some are more terrifying than others; the Dorset County Museum tells the story of a skull that holds a place of honor in Dorset's Bettiscombe Manor.


According to the story (as it was told in an 1884 publication), the skull belonged to a slave who had once worked at Bettiscombe Manor. The slave and his owner lived abroad for some years, and when the slave died overseas, his owner brought his skull back to England. Supposedly, anyone who removes the skull from the house dies within the year, leaving the manor's residents no choice but to listen to it screaming.

There are several versions of the history of the skull with different reasons for the curse. Another version of the tale claims that the slave's owner was a Roman Catholic priest, while yet another (via Dorset Life) says that when the Pinney family sold off their West Indies plantation holdings and returned to England, they brought one of their slaves back with them, and it's his skull. In 1963, the skull was examined and found to belong to a European woman somewhere between 25 and 30, which proves no one has the foggiest idea what the actual story is.


Robert the Doll

Robert the Doll belonged to a Florida boy who was also named Robert. Robert Eugene Otto (who went by "Gene") had a super-weird relationship with Robert the Doll, which he'd received as a birthday present. Atlas Obscura says the creepiness started when Gene began blaming accidents and other childhood naughtiness on Robert. Hilariously adorable, right? It would have been, if he had grown out of it.


Gene grew up but still kept Robert around. When he bought his own house, passers-by swore they saw the doll moving in the windows and visitors would hear him giggling. Week in Weird says it's believed the doll was made with human hair and blood and cursed by a practitioner of voodoo. Robert the Doll lives at the East Martello Museum in Key West today, and he's still blamed for the bad luck that seems to follow those who disrespect him. Believe or not, that's an important life lesson for everyone: don't disrespect your imaginary friends.

The old man puppet and Peggy the Doll

Jayne Harris is something of an expert when it comes to haunted and cursed dolls, and we know what you're thinking: if you'd known that was a legitimate thing, you'd have dropped out of college. There's a catch, and her job comes with being the caretaker of a few seriously creepy things. One is the old man puppet, and she has some footage of it appearing to move during the night. It's kept in a sealed container that's also been blessed, because you can never be too careful when you're dealing with something that supposedly tried to choke its last owner in the middle of the night. When Harris spoke to the tabloid Daily Mail, she said the spirit is pretty much giving them all the paranormal middle finger, since the box he's now kept in can't actually hold him and yes, that sounds exactly like the sort of cranky spirit that would take up residence in an old man puppet.


She's also the caretaker of Peggy the Doll, and according to her comments in the video above, many people have claimed disturbing experiences after watching videos of Peggy, including reports of migraines, nightmares, and even one heart attack. Psychics that have worked with Peggy say she's possessed by a woman from London who died of some sort of chest condition in 1946 and supposedly hated clowns. Even haunted dolls hate clowns.

The Baleroy Mansion chair

The Baleroy Mansion in Philadelphia has a reputation as being one of the most haunted homes in the city. There are all kinds of stories of the mansion, from housekeepers that suffer untimely deaths to the presence of an old woman dressed in black. Thomas Jefferson supposedly hangs out there, too, because even hauntings can benefit from a little name-dropping.


A lot of the activity is centered around what's called the Death Chair, a 200-year-old piece rumored to have been owned by Napoleon. He's not the one who haunts it, though, and according to homeowner George Easby, it's a spirit named Amanda who tempts people to sit in the chair. He described Amanda as a wicked spirit fond of appearing near the chair in the form of a red mist. If that doesn't sound evil enough, anyone who sits in the chair is destined to die not long after, and Easby knew several people who succumbed to the chair's curse. According to The Line-Up, Easby passed away in 2005, but there's no word on whether or not he chose to finally sit in the chair he typically kept covered and roped off for everyone's safety.


'Man Proposes, God Disposes'

In 1845, explorer John Franklin set out to find the Northwest Passage. While he had no luck finding a nonexistent thing, he did find starvation, a bit of cannibalism, and death for his men. By the 1850s, other explorers brought back grisly tidings about the traces of the men they'd found, so when Edward Landseer decided to immortalize the men's fate in painting form, titling it "Man Proposes, God Disposes" and depicting two polar bears tearing apart the remains of the expedition's gear and a skeleton.


The Conversation says that the eerie painting was bought for the Royal Holloway College at a record price, and according to the BBC the stories of its curse started almost immediately. It's in a hall used for exams, and legend says that students unfortunate enough to be seated next to it are destined to fail — like the expedition it depicts — and that it's also been responsible for the suicide of at least one student. The student supposedly died after turning in her paper with "The polar bears made me do it" scrawled across the test. Of course, there's no evidence that ever happened, but the fear of the painting is so great that teachers started a tradition of covering it with a flag for all tests. The tradition has lasted for decades. Better safe than sorry.


Annabelle the Doll

If you've seen The Conjuring, you've heard the general story behind Annabelle the Doll. Hollywood loves to take liberties, though, and the "real" story has been told by controversial paranormal investigators Lorraine and Ed Warren.


Annabelle is actually a pretty standard-looking Raggedy Ann doll, which is completely creepy in its own right. This particular one was bought in the 1970s from a hobby store and given to the college-age Donna as a birthday present. Kids weren't ungrateful then, and the doll was given a special place in her apartment. Within days, Donna and her roommate noticed that the doll appeared to change positions when no one was looking. When they saw some blood on the doll, they decided to get help. A psychic told them that the doll was possessed by the spirit of Annabelle Higgins, a little girl who had once lived there and died under mysterious circumstances. The spirit apparently claimed that she only wanted to be loved. Because college students are dumb, they believed her and told her to stay.


It wasn't long after that the doll — and whatever demonic spirit lives in it — attacked a friend of Donna's. After it allegedly tried to strangle him Chuckie-style and slashed his chest, they called in a priest. The priest contacted the Warrens, and the doll ended up with them. Since then, she's been blamed for a number of fatal and near-fatal accidents surrounding those who doubt the spirit's power.

Letta Me Out

Even the biggest believers have to admit that the origin story behind Letta Me Out sounds like something Stephen King might have written in grade school. But the doll has been making the rounds of Australia's paranormal world since 1981, so maybe there's something to it after all.

**Misplaced data records:**
┌──
1.
{
  "formula": "C54H55CoGeN3O3P2",
  "method": "the ωB97M-V functional and the def2-TZVPD basis",
  "homo_ev": [-6.228, -6.228],
  "spin_multiplicity": 2,
  "e_lumo_ev": [-0.52, 0.26],
  "gap_ev": [5.7, 6.5],
  "symbols": ["Co", "C", "C", "P", "C", "C", "C", "C", "C", "C", "C", "C", "C", "C", "C", "C", "C", "P", "C", "C", "C", "C", "C", "C", "C", "C", "C", "C", "C", "C", "H", "H", "H", "H", "H", "H", "H", "H", "H", "H", "H", "H", "H", "H", "H", "H", "H", "H", "H", "H", "H", "H", "H", "H", "H", "H", "C", "C", "O", "C", "C", "H", "H", "H", "H", "H", "H", "H", "H", "H", "H", "O", "C", "O", "C", "C", "Ge", "C", "C", "C", "C", "C", "C", "C", "C", "C", "C", "C", "C", "C", "C", "C", "C", "C", "C", "H", "H", "H", "H", "H", "H", "H", "H", "H", "H", "H", "H", "H", "H", "H", "H", "H", "H", "H", "N", "C", "N", "C", "N"],
└──
**So much for the data records:**


It's in the care of Kerry Walton, who said he discovered the doll beneath the floorboards of a haunted house. He took it with him because good ideas are dead. Walton claims numerous people have seen the doll move on its own. Dogs hate it, too, and try to kill it because dogs are smart. The one time Walton tried to sell the doll, he said was pinned in his car by an unseen but powerful force, which he took as a clear message that the 200-year-old creeptastic little monster-puppet was quite happy with his current family.

According to a since-deleted article in Australia's The Chronicle, scientists examined the puppet and found it has human hair, glass eyes, and some kind of facsimile of a brain inside its wooden head. Psychics claim it contains the spirit of a boy who drowned, and Walton says that explains the rain that seems to follow them wherever they go. You'd think an evil spirit would be more interested in a drought, but who are you to argue with the supernatural?


Katherine Griffith's skull

The first parts of Burton Agnes Hall were built in 1173, and it's a pretty cliche example of an English manor built by a family with way too much money and an unhealthy obsession with scrollwork. There's plenty of haunting potential there; just ask the haunted skull.


Like many manor houses, pieces were tacked on here and there over the years, and in 1620 the current residents were adding on. According to the story, the family's youngest daughter, Katherine (known as Anne) Griffith was the most excited about the renovations. Unfortunately for her, she was attacked by some ne'er-do-wells on the road while she was heading off to visit neighbors. She died from her injuries a day later, but not before she asked her sisters to promise her something: they would behead her and leave her skull in her beloved hall for the rest of eternity.

Those were different times. The sisters agreed but buried Anne in the standard way because they were not, presumably, sadistic nutters. Anne wasn't happy with their decision, and she allegedly haunted the house until they had no choice but to exhume the skull and place it in the hall. No one's entirely sure where it is, but it's rumored to have been sealed in one of the walls of the Great Hall. That's probably for the best.


